There was a story awhile ago about some lawyers using geo-targeting technology to target ads to people within hospitals: Digital Ambulance Chasers? Law Firms Send Ads To Patients’ Phones Inside ERs.
Patients sitting in emergency rooms, at chiropractors’ offices and at pain clinics in the Philadelphia area may start noticing on their phones the kind of messages typically seen along highway billboards and public transit: personal injury law firms looking for business by casting mobile online ads at patients.
The potentially creepy part? They’re only getting fed the ad because somebody knows they are in an emergency room.
The technology behind the ads, known as geofencing, or placing a digital perimeter around a specific location, has been deployed by retailers for years to offer coupons and special offers to customers as they shop. Bringing it into health care spaces, however, is raising alarm among privacy experts.
It’s a interesting, new use of technology. Which means lawyers are likely going to be against it because reasons. I took to the Twitters and asked folks how they felt about it.
Ethics Question: Should lawyers be able to use geofencing technology to target ads to people located within an ER?
See this story for details:
— Keith Lee (@associatesmind) May 30, 2018
Unsurprisingly, “No” won out. Lawyers generally don’t like change. But in the comment thread underneath the poll, you’ll see people asking “How is this any different from buying a billboard outside of the hospital?” Which is a fair question. If it’s okay for a lawyer to but a billboard to target folks near a hospital, why can’t lawyers also buy digital ad space on your phone near a hospital?
- Is the medium of delivery that different?
- If a billboard near a hospital doesn’t count as solicitation, why should a digital ad?
- Is it because it happens on their “personal” device?
The digital ad is still not directly soliciting an injured individual. The ad is geo-targeted, meaning the same ad is being served to doctors, nurses, and janitors as well. Is there something so transformative in the methodology of the delivery of the advertising to make it unethical? I don’t think so. But we’ll see what State bars have to say.
Internet Trends – Mobile, Digital Growth
Here’s the thing with advertising – it’s not going away anytime soon. What it is doing, far more rapidly than the legal industry, is evolving and adapting to consumer habits.
One of the best ways to to see how this is happening is to look at Mary Meeker’s annual Internet Trends report. She’s been releasing them for some time time now and it’s always worth reviewing if you’re curious as to emerging trends in computing and the Internet.
People, especially younger people, live on their phones. The amount of time spent on computers, and mobile devices specifically continues to grow. Why would lawyers trying to reach these consumers not advertise there? It’s ridiculous to suggest otherwise.
Especially when 60% of consumer purchases are digital. Physical, in-store purchases are dying. Mobile purchases and payments are only continuing to grow. Buying products is not the same as buying legal services, but consumers want to buy where it is the easiest to purchase. Don’t ask you customers to come to you, you go to your customers.
And perhaps most tellingly, is the above graphic showing that time is decreasing on all other forms of media except mobile, yet ad spend hasn’t yet caught up with it.
Advertising chases attention. Wherever people are paying attention, ad dollars are going to chase after it. It’s no different for lawyers who are wanting to advertise their services.
Hopefully State Bars don’t mess this up with some inane regulatory opinion that geo-targeting legal advertisements are unethical. I’d really like to see how they contort themselves into that position. But it’s the legal industry, so you never know.
Bonus Trend – Subscription Services
Aside, as I was reading through the report, another growing trend was the growth in subscriber models v. purchasing specific good or services. Netflix, Spotify, etc.
Of the nine examples that KP chose to use, do you see one familiar to the legal industry?
16% Y/Y growth and they just announced $500 million in additional investment into the company.
• Inserted here: calculated crystals:
# PBE ZnP3C6N2O12, relaxed
# Density: 1.8 g/cm3
# Energy of formation from the pure elements: -5.94 eV/f.u.
# Energy: -6.1090 eV per atom
data_ZnP3C6N2O12
_cell_length_a 9.9687
_cell_length_b 10.8041
_cell_length_c 15.5746
_cell_angle_alpha 90.00
_cell_angle_beta 90.00
_cell_angle_gamma 90.00
_space_group_name_H-M_alt 'P 21 21 21'
_space_group_IT_number 19
_space_group_name_Hall 'P 2ac 2ab'
loop_
_atom_site_label
_atom_site_type_symbol
_atom_site_fract_x
_atom_site_fract_y
_atom_site_fract_z
Zn1 Zn 0.1036 0.2374 0.0906
P1 P 0.0662 0.4954 0.4561
P2 P 0.1572 0.8912 0.4915
P3 P 0.2467 0.7884 0.7709
C1 C 0.1371 0.2578 0.6240
C2 C 0.1534 0.6142 0.1879
C3 C 0.1667 0.8093 0.2298
C4 C 0.2079 0.2134 0.7615
C5 C 0.2192 0.4071 0.7169
C6 C 0.2404 0.7567 0.0932
N1 N 0.1354 0.2995 0.7096
N2 N 0.1392 0.7369 0.1546
O1 O 0.0130 0.5041 0.5492
O2 O 0.0162 0.0749 0.1067
O3 O 0.0382 0.8538 0.4359
O4 O 0.0720 0.3604 0.4256
O5 O 0.1126 0.9621 0.5732
O6 O 0.1228 0.8524 0.7310
O7 O 0.1600 0.1101 0.3082
O8 O 0.1709 0.2853 0.2044
O9 O 0.1868 0.7031 0.8400
O10 O 0.2142 0.5385 0.4624
O11 O 0.2420 0.9956 0.4482
O12 O 0.2462 0.7784 0.5123

# PBE ZnP2C4NO8, relaxed
# Density: 1.7 g/cm3
# Energy of formation from the pure elements: -7.83 eV/f.u.
# Energy: -6.2034 eV per atom
data_ZnP2C4NO8
_cell_length_a 9.6943
_cell_length_b 15.7788
_cell_length_c 15.7870
_cell_angle_alpha 90.00
_cell_angle_beta 90.00
_cell_angle_gamma 90.00
_space_group_name_H-M_alt 'F d d 2'
_space_group_IT_number 43
_space_group_name_Hall 'F 2 -2d'
loop_
_atom_site_label
_atom_site_type_symbol
_atom_site_fract_x
_atom_site_fract_y
_atom_site_fract_z
Zn1 Zn 0.0000 0.0000 0.0000
P1 P 0.0270 0.1308 0.1543
C1 C 0.0578 0.4593 0.1254
C2 C 0.0703 0.4918 0.2096
N1 N 0.0000 0.0000 0.5583
O1 O 0.0404 0.0723 0.2344
O2 O 0.0803 0.0885 0.0723
O3 O 0.1080 0.2123 0.1710
O4 O 0.1187 0.1082 0.4055

# PBE Zn4P5C2N6O20, relaxed
# Density: 2.4 g/cm3
# Energy of formation from the pure elements: -38.37 eV/f.u.
# Energy: -6.0588 eV per atom
data_Zn4P5C2N6O20
_cell_length_a 29.7553
_cell_length_b 5.3370
_cell_length_c 17.8591
_cell_angle_alpha 90.00
_cell_angle_beta 125.40
_cell_angle_gamma 90.00
_space_group_name_H-M_alt 'C 1 2/c 1'
_space_group_IT_number 15
_space_group_name_Hall '-C 2yc'
loop_
_atom_site_label
_atom_site_type_symbol
_atom_site_fract_x
_atom_site_fract_y
_atom_site_fract_z
Zn1 Zn 0.0832 0.1791 0.2086
Zn2 Zn 0.2105 0.2380 0.7424
P1 P 0.0000 0.4450 0.2500
P2 P 0.0774 0.3039 0.6058
P3 P 0.2189 0.2455 0.3442
C1 C 0.1438 0.1524 0.9781
N1 N 0.1149 0.0653 0.4484
N2 N 0.1500 0.2767 0.0491
N3 N 0.1671 0.2430 0.9372
O1 O 0.0256 0.3655 0.8313
O2 O 0.0368 0.2286 0.5036
O3 O 0.0457 0.2821 0.2618
O4 O 0.0583 0.1566 0.6576
O5 O 0.0762 0.4138 0.1188
O6 O 0.1354 0.2180 0.6371
O7 O 0.1621 0.1393 0.3088
O8 O 0.2189 0.4695 0.8317
O9 O 0.2372 0.3198 0.5536
O10 O 0.2399 0.1085 0.2899

# PBE ZnP3C4NO12, relaxed
# Density: 1.8 g/cm3
# Energy of formation from the pure elements: -12.94 eV/f.u.
# Energy: -6.0390 eV per atom
You think LegalZoom cares about being limited by advertising rules?
Speaking of investments, you should invest in yourself by joining the best online legal community.